
Publications pour l'équipe Oncostat

Materials data, kept here for reference =
Entry 1:
Starting from DFT lattice parameters and positions (GGA-PBE), the X-ray diffraction stick pattern of Rb2Cd3Te4 was simulated for Cu Kα X-rays.

Cell and atoms:
```
Rb2Cd3Te4
1.0
7.4193 -7.8412 0.0000
7.4193 7.8412 0.0000
-5.7956 0.0000 11.8904
Rb Cd Te
8 12 16
direct
0.0000 0.0000 0.0000
0.0000 0.0000 0.5000
0.2447 0.2483 0.8629
0.2483 0.2447 0.3629
0.4978 0.5022 0.7500
0.5022 0.4978 0.2500
0.7517 0.7553 0.6371
0.7553 0.7517 0.1371
0.1116 0.5921 0.3013
0.1246 0.6486 0.5896
0.1410 0.6214 0.0435
0.3514 0.8754 0.9104
0.3786 0.8590 0.4565
0.4079 0.8884 0.1987
0.5921 0.1116 0.8013
0.6214 0.1410 0.5435
0.6486 0.1246 0.0896
0.8590 0.3786 0.9565
0.8754 0.3514 0.4104
0.8884 0.4079 0.6987
0.1059 0.3935 0.6207
0.1152 0.3853 0.1075
0.1170 0.8830 0.7500
0.1572 0.8428 0.2500
0.3421 0.6199 0.4979
0.3801 0.6579 0.0021
0.3853 0.1152 0.6075
0.3935 0.1059 0.1207
0.6065 0.8941 0.8793
0.6147 0.8848 0.3925
0.6199 0.3421 0.9979
0.6579 0.3801 0.5021
0.8428 0.1572 0.7500
0.8830 0.1170 0.2500
0.8848 0.6147 0.8925
0.8941 0.6065 0.3793
```

The 12 most intense peaks (2θ from 10° to 90°), most intense first:
- 2θ = 25.56°, intensity 100
- 2θ = 25.44°, intensity 87
- 2θ = 11.28°, intensity 55
- 2θ = 38.17°, intensity 40
- 2θ = 38.50°, intensity 40
- 2θ = 35.33°, intensity 38
- 2θ = 35.51°, intensity 37
- 2θ = 46.61°, intensity 37
- 2θ = 29.10°, intensity 33
- 2θ = 29.31°, intensity 30
- 2θ = 44.02°, intensity 29
- 2θ = 26.74°, intensity 29

---

Entry 2:
Starting from DFT lattice parameters and positions (GGA-PBE), the X-ray diffraction stick pattern of TbCdRh2 was simulated for Cu Kα X-rays.

Cell and atoms:
```
TbCdRh2
1.0
6.6670 0.0000 0.0000
0.0000 6.6670 0.0000
0.0000 0.0000 6.6670
Tb Cd Rh
4 4 8
direct
0.0000 0.0000 0.0000
0.0000 0.5000 0.5000
0.5000 0.0000 0.5000
0.5000 0.5000 0.0000
0.0000 0.0000 0.5000
0.0000 0.5000 0.0000
0.5000 0.0000 0.0000
0.5000 0.5000 0.5000
0.2500 0.2500 0.2500
0.2500 0.2500 0.7500
0.2500 0.7500 0.2500
0.2500 0.7500 0.7500
0.7500 0.2500 0.2500
0.7500 0.2500 0.7500
0.7500 0.7500 0.2500
0.7500 0.7500 0.7500
```

The 9 most intense peaks (2θ from 10° to 90°), most intense first:
- 2θ = 38.18°, intensity 100
- 2θ = 69.01°, intensity 34
- 2θ = 55.10°, intensity 17
- 2θ = 81.71°, intensity 11
- 2θ = 26.74°, intensity 2
- 2θ = 23.11°, intensity 2
- 2θ = 45.10°, intensity 1
- 2θ = 62.28°, intensity 1
- 2θ = 47.23°, intensity 1


[1]
The following is a simulated PXRD pattern of Tb4Tl2CdHg. It was derived from DFT lattice parameters and positions (GGA-PBE), using CuKα.
Neutral-atom scattering factors, no anomalous dispersion.

Cell and atoms:
a = 9.245 Å, b = 9.245 Å, c = 9.245 Å
α = 33.59°, β = 33.59°, γ = 33.59°
Fractional coordinates of all 8 atoms:
Tb 0.123 0.123 0.123
Tb 0.373 0.373 0.373
Tb 0.627 0.627 0.627
Tb 0.877 0.877 0.877
Tl 0.248 0.248 0.248
Tl 0.752 0.752 0.752
Cd 0.500 0.500 0.500
Hg 0.000 0.000 0.000

Largest 7 diffraction maxima, sorted by position, 2θ from 5° to 70°:
Position (°2θ), Rel. int.
10.15, 0.8
19.48, 0.9
20.37, 0.9
End of the materials data =
Titre Publication Type Publication year Auteur
A Single-Arm Phase II Trial of Lenalidomide in Relapsing or Refractory Primary Cutaneous Large B-Cell Lymphoma, Leg Type journalArticle 2018 Beylot-Barry, M.; Mermin, D.; Maillard, A.; Bouabdallah, R.; Bonnet, N.; Duval-Modeste, A. B.; Mortier, L.; Ingen-Housz-Oro, S.; Ram-Wolff, C.; Barete, S.; Dalle, S.; Maubec, E.; Quereux, G.; Templier, I.; Bagot, M.; Grange, F.; Joly, P.; Vergier, B.; Vially, P. J.; Gros, A.; Pham-Ledard, A.; Frison, E.; Merlio, J. P.
Human epidermal receptor family inhibitors in patients with ERBB3 mutated cancers: Entering the back door journalArticle 2018 Verlingue, L.; Hollebecque, A.; Lacroix, L.; Postel-Vinay, S.; Varga, A.; El Dakdouki, Y.; Baldini, C.; Balheda, R.; Gazzah, A.; Michot, J. M.; Marabelle, A.; Mir, O.; Arnedos, M.; Rouleau, E.; Solary, E.; De Baere, T.; Angevin, E.; Armand, J. P.; Michiels, S.; André, F.; Deutsch, E.; Scoazec, J. Y.; Soria, J. C.; Massard, C.
Tolerance and outcomes of stereotactic radiosurgery combined with anti-programmed cell death-1 (pembrolizumab) for melanoma brain metastases journalArticle 2018 Nardin, C.; Mateus, C.; Texier, M.; Lanoy, E.; Hibat-Allah, S.; Ammari, S.; Robert, C.; Dhermain, F.
biospear: an R package for biomarker selection in penalized Cox regression journalArticle 2018 Ternes, N.; Rotolo, F.; Michiels, S.
Quality of life after brachytherapy or bilateral nerve-sparing robot-assisted radical prostatectomy for prostate cancer: a prospective cohort journalArticle 2018 Blanchard, P.; Davis, J. W.; Frank, S. J.; Kim, J.; Pettaway, C. A.; Pugh, T. J.; Pisters, L. L.; Ward, J. F.; Choi, S.; Chapin, B. F.; Hoffman, K.; Navai, N.; Achim, M.; McGuire, S. E.; Matin, S. F.; Nguyen, Q.; Mahmood, U.; Graber, W. J.; Chen, H. C.; Wang, X.; Kuban, D. A.
Tumor PIK3CA Genotype and Prognosis in Early-Stage Breast Cancer: A Pooled Analysis of Individual Patient Data journalArticle 2018 Zardavas, D.; Te Marvelde, L.; Milne, R. L.; Fumagalli, D.; Fountzilas, G.; Kotoula, V.; Razis, E.; Papaxoinis, G.; Joensuu, H.; Moynahan, M. E.; Hennessy, B. T.; Bieche, I.; Saal, L. H.; Stal, O.; Iacopetta, B.; Jensen, J. D.; O''''Toole, S.; Lopez-Knowles, E.; Barbaraeschi, M.; Noguchi, S.; Azim, H. A.; Lerma, E.; Bachelot, T.; Wang, Q.; Perez-Tenorio, G.; Can de Velde, C. J. H.; Rea, D. W.; Sabine, V.; Bartlett, J. M. S.; Sotiriou, C.; Michiels, S.; Loi, S.
Influence of tumor-associated macrophages and HLA class I expression according to HPV status in head and neck cancer patients receiving chemo/bioradiotherapy journalArticle 2018 Ou, D.; Adam, J.; Garberis, I.; Blanchard, P.; Nguyen, F.; Levy, A.; Casiraghi, O.; Gorphe, P.; Breuskin, I.; Janot, F.; Temam, S.; Scoazec, J. Y.; Deutsch, E.; Tao, Y.
Follow-up of differentiated thyroid cancer - what should (and what should not) be done journalArticle 2018 Lamartina, L.; Grani, G.; Durante, C.; Borget, I.; Filetti, S.; Schlumberger, M.
Meta-analysis of prognostic and predictive factors: Towards individual participant data? journalArticle 2018 Faron, Matthieu; Pignon, Jean-Pierre; Paoletti, Xavier
[Editorial] journalArticle 2018 Perrier, L.
Update of survival and cost of metastatic melanoma with new drugs: Estimations from the MelBase cohort journalArticle 2018 Kandel, M.; Allayous, C.; Dalle, S.; Mortier, L.; Dalac, S.; Dutriaux, C.; Leccia, M. T.; Guillot, B.; Saiag, P.; Lacour, J. P.; Legoupil, D.; Lesimple, T.; Aubin, F.; Beylot-Barry, M.; Brunet-Possenti, F.; Arnault, J. P.; Granel-Brocard, F.; Stoebner, P. E.; Dupuy, A.; Maubec, E.; Grob, J. J.; Dreno, B.; Rotolo, F.; Ballon, A.; Michiels, S.; Lebbe, C.; Borget, I.
Results of external beam radiotherapy for diffuse choroidal hemangiomas in Sturge-Weber syndrome journalArticle 2018 Randon, M.; Lévy-Gabriel, C.; Abbas, R.; Dendale, R.; Lumbroso, L.; Desjardins, L.; Cassoux, N.
Results of methotrexate-etoposide-ifosfamide based regimen (M-EI) in osteosarcoma patients included in the French OS2006/sarcome-09 study journalArticle 2018 Gaspar, N.; Occean, B. V.; Pacquement, H.; Bompas, E.; Bouvier, C.; Brisse, H. J.; Castex, M. P.; Cheurfa, N.; Corradini, N.; Delaye, J.; Entz-Werle, N.; Gentet, J. C.; Italiano, A.; Lervat, C.; Marec-Berard, P.; Mascard, E.; Redini, F.; Saumet, L.; Schmitt, C.; Tabone, M. D.; Verite-Goulard, C.; Le Deley, M. C.; Piperno-Neumann, S.; Brugieres, L.; Sfce; Gsf, Geto; group, Unicancer sarcoma
Patient-reported health-related quality of life for men treated with low-dose-rate prostate brachytherapy as monotherapy with 125-iodine, 103-palladium, or 131-cesium: Results of a prospective phase II study journalArticle 2018 Blanchard, P.; Pugh, T. J.; Swanson, D. A.; Mahmood, U.; Chen, H. C.; Wang, X.; Graber, W. J.; Kudchadker, R. J.; Bruno, T.; Feeley, T.; Frank, S. J.
Is alpha-fetoprotein decline a prognostic factor of childhood non-seminomatous germ cell tumours? Results of the French TGM95 study journalArticle 2018 Fresneau, B.; Orbach, D.; Faure-Conter, C.; Sudour-Bonnange, H.; Vérité, C.; Gandemer, V.; Pasquet, M.; Fasola, S.; Rome, A.; Raimbault, S.; Martelli, H.; Frappaz, D.; Le Teuff, G.; Patte, C.
[Economic analysis of multinational clinical trials in oncology] journalArticle 2018 Lejeune, C.; Lueza, B.; Bonastre, J.
Comparing Intensity-Modulated Proton Therapy With Intensity-Modulated Photon Therapy for Oropharyngeal Cancer: The Journey From Clinical Trial Concept to Activation journalArticle 2018 Frank, S. J.; Blanchard, P.; Lee, J. J.; Sturgis, E. M.; Kies, M. S.; Machtay, M.; Vikram, B.; Garden, A. S.; Rosenthal, D. I.; Gunn, G. B.; Fuller, C. D.; Hutcheson, K.; Lai, S.; Busse, P. M.; Lee, N. Y.; Lin, A.; Foote, R. L.
Efficacy and safety of regorafenib compared to placebo and to post-cross-over regorafenib in advanced non-adipocytic soft tissue sarcoma journalArticle 2018 Brodowicz, T.; Mir, O.; Wallet, J.; Italiano, A.; Blay, J. Y.; Bertucci, F.; Eisterer, W.; Chevreau, C.; Piperno-Neumann, S.; Bompas, E.; Ryckewaert, T.; Liegl-Antzwager, B.; Thery, J.; Penel, N.; Le Cesne, A.; Le Deley, M. C.
[Data sources, the data used, and the modality for collection] journalArticle 2018 Mercier, G.; Costa, N.; Dutot, C.; Riche, V. P.
A gene signature to predict high tumor-infiltrating lymphocytes after neoadjuvant chemotherapy and outcome in patients with triple-negative breast cancer journalArticle 2018 Criscitiello, C.; Bayar, M. A.; Curigliano, G.; Symmans, F. W.; Desmedt, C.; Bonnefoi, H.; Sinn, B.; Pruneri, G.; Vicier, C.; Pierga, J. Y.; Denkert, C.; Loibl, S.; Sotiriou, C.; Michiels, S.; André, F.
Genome-wide copy number analyses of samples from LACE-Bio project identify novel prognostic and predictive markers in early stage non-small cell lung cancer journalArticle 2018 Rotolo, F.; Zhu, C. Q.; Brambilla, E.; Graziano, S. L.; Olaussen, K.; Le-Chevalier, T.; Pignon, J. P.; Kratzke, R.; Soria, J. C.; Shepherd, F. A.; Seymour, L.; Michiels, S.; Tsao, M. S.
Prospective in silico study of the feasibility and dosimetric advantages of MRI-guided dose adaptation for human papillomavirus positive oropharyngeal cancer patients compared with standard IMRT journalArticle 2018 Mohamed, A. S. R.; Bahig, H.; Aristophanous, M.; Blanchard, P.; Kamal, M.; Ding, Y.; Cardenas, C. E.; Brock, K. K.; Lai, S. Y.; Hutcheson, K. A.; Phan, J.; Wang, J.; Ibbott, G.; Gabr, R. E.; Narayana, P. A.; Garden, A. S.; Rosenthal, D. I.; Gunn, G. B.; Fuller, C. D.; Group, M. D. Anderson MRLinac Development Working
Revisiting vascular contraindications for transoral robotic surgery for oropharyngeal cancer journalArticle 2018 Gorphe, P.; Auperin, A.; Honart, J. F.; Ton Van, J.; El Bedoui, S.; Bidault, F.; Temam, S.; Kolb, F.; Qassemyar, Q.
What''s next in using CT scans to better understand cachexia? journalArticle 2018 Antoun, S.; Rossoni, C.; Lanoy, E.
LACE-Bio: Validation of Predictive and/or Prognostic Immunohistochemistry/Histochemistry-based Biomarkers in Resected Non-small-cell Lung Cancer journalArticle 2018 Seymour, L.; Le Teuff, G.; Brambilla, E.; Shepherd, F. A.; Soria, J. C.; Kratzke, R.; Graziano, S.; Douillard, J. Y.; Rosell, R.; Reiman, A.; Lacas, B.; Lueza, B.; Aviel-Ronen, S.; McLeer, A.; Le Chevalier, T.; Pirker, R.; Filipits, M.; Dunant, A.; Pignon, J. P.; Tsao, M. S.; Committee, L. ACE-Bio Steering
Testicular germ-cell tumours and penile squamous cell carcinoma: Appropriate management makes the difference journalArticle 2018 Nicolai, N.; Biasoni, D.; Catanzaro, M. A.; Colecchia, M.; Trama, A.
ER+ breast cancers resistant to prolonged neoadjuvant letrozole exhibit an E2F4 transcriptional program sensitive to CDK4/6 inhibitors journalArticle 2018 Guerrero-Zotano, A.; Stricker, T.; Formisano, L.; Hutchinson, K. E.; Stover, D. G.; Lee, K. M.; Schwarz, L. J.; Giltnane, J. M.; Estrada, M. V.; Jansen, V. M.; Servetto, A.; Gavilá, J.; Pérez-Fidalgo, J. A.; Lluch, A.; Llombart-Cussac, A.; Bayar, M. A.; Michiels, S.; Andre, F.; Arnedos, M.; Guillem, V.; Ruiz-Simon, A.; Arteaga, C. L.
A benchmark study of scoring methods for non-coding mutations journalArticle 2018 Drubay, D.; Gautheret, D.; Michiels, S.
Magnetic Resonance-based Response Assessment and Dose Adaptation in Human Papilloma Virus Positive Tumors of the Oropharynx treated with Radiotherapy (MR-ADAPTOR): An R-IDEAL stage 2a-2b/Bayesian phase II trial journalArticle 2018 Bahig, H.; Yuan, Y.; Mohamed, A. S. R.; Brock, K. K.; Ng, S. P.; Wang, J.; Ding, Y.; Hutcheson, K.; McCulloch, M.; Balter, P. A.; Lai, S. Y.; Al-Mamgani, A.; Sonke, J. J.; van der Heide, U. A.; Nutting, C.; Li, X. A.; Robbins, J.; Awan, M.; Karam, I.; Newbold, K.; Harrington, K.; Oelfke, U.; Bhide, S.; Philippens, M. E. P.; Terhaard, C. H. J.; McPartlin, A. J.; Blanchard, P.; Garden, A. S.; Rosenthal, D. I.; Gunn, G. B.; Phan, J.; Cazoulat, G.; Aristophanous, M.; McSpadden, K. K.; Garcia, J. A.; van den Berg, C. A. T.; Raaijmakers, C. P. J.; Kerkmeijer, L.; Doornaert, P.; Blinde, S.; Frank, S. J.; Fuller, C. D.
Improved Outcome by Adding Concurrent Chemotherapy to Cetuximab and Radiotherapy for Locally Advanced Head and Neck Carcinomas: Results of the GORTEC 2007-01 Phase III Randomized Trial journalArticle 2018 Tao, Y.; Auperin, A.; Sire, C.; Martin, L.; Khoury, C.; Maingon, P.; Bardet, E.; Kaminsky, M. C.; Lapeyre, M.; Chatellier, T.; Alfonsi, M.; Pointreau, Y.; Jadaud, E.; Géry, B.; Zawadi, A.; Tourani, J. M.; Laguerre, B.; Coutte, A.; Racadot, S.; Hasbini, A.; Malaurie, E.; Borel, C.; Meert, N.; Cornely, A.; Ollivier, N.; Casiraghi, O.; Sun, X. S.; Bourhis, J.
Mesothelioma and thymic tumors: Treatment challenges in (outside) a network setting journalArticle 2018 Imbimbo, M.; Maury, J. M.; Garassino, M.; Girard, N.
Phase I–II trial designs: how early should efficacy guide the dose recommendation process? journalArticle 2018 Paoletti, X; Postel-Vinay, S
Circulating oncometabolite D-2-hydroxyglutarate enantiomer is a surrogate marker of isocitrate dehydrogenase-mutated intrahepatic cholangiocarcinomas journalArticle 2018 Delahousse, J.; Verlingue, L.; Broutin, S.; Legoupil, C.; Touat, M.; Doucet, L.; Ammari, S.; Lacroix, L.; Ducreux, M.; Scoazec, J. Y.; Malka, D.; Paci, A.; Hollebecque, A.
Scoring of tumor-infiltrating lymphocytes: From visual estimation to machine learning journalArticle 2018 Klauschen, F.; Müller, K. R.; Binder, A.; Bockmayr, M.; Hägele, M.; Seegerer, P.; Wienert, S.; Pruneri, G.; de Maria, S.; Badve, S.; Michiels, S.; Nielsen, T. O.; Adams, S.; Savas, P.; Symmans, F.; Willis, S.; Gruosso, T.; Park, M.; Haibe-Kains, B.; Gallas, B.; Thompson, A. M.; Cree, I.; Sotiriou, C.; Solinas, C.; Preusser, M.; Hewitt, S. M.; Rimm, D.; Viale, G.; Loi, S.; Loibl, S.; Salgado, R.; Denkert, C.
[Prostate brachytherapy: New techniques, new indications] journalArticle 2018 Blanchard, P.; Graff-Cailleaud, P.; Bossi, A.
Prognostic value of tissue necrosis, hypoxia-related markers and correlation with HPV status in head and neck cancer patients treated with bio- or chemo-radiotherapy journalArticle 2018 Ou, D.; Garberis, I.; Adam, J.; Blanchard, P.; Nguyen, F.; Levy, A.; Casiraghi, O.; Gorphe, P.; Breuskin, I.; Janot, F.; Temam, S.; Scoazec, J. Y.; Deutsch, E.; Tao, Y.
How to Reliably Assess Nodal Status in Distal Pancreatectomy for Adenocarcinoma journalArticle 2018 Faron, M.; Vuarnesson, H.; Boher, J. M.; Bachellier, P.; Sauvanet, A.; Sa Cunha, A.; Le Treut, Y. P.; Mabrut, J. Y.; Delpero, J. R.; Paye, F.
Treating Metastatic Prostate Cancer With Local Therapies: Is It Still Wishful Thinking? journalArticle 2018 Bibault, J. E.; Blanchard, P.
Daily Biopsy Diagnosis in Surgical Pathology: Concordance Between Light Microscopy and Whole-Slide Imaging in Real-Life Conditions journalArticle 2018 Villa, I.; Mathieu, M. C.; Bosq, J.; Auperin, A.; Pomerol, J. F.; Lacroix-Triki, M.; Scoazec, J. Y.; Dartigues, P.
Individualized Prediction of Menses Recovery After Chemotherapy for Early-stage Breast Cancer: A Nomogram Developed From UNICANCER PACS04 and PACS05 Trials journalArticle 2018 Pistilli, B.; Mazouni, C.; Zingarello, A.; Faron, M.; Saghatchian, M.; Grynberg, M.; Spielmann, M.; Kerbrat, P.; Roche, H.; Lorgis, V.; Bachelot, T.; Campone, M.; Levy, C.; Goncalves, A.; Lesur, A.; Veyret, C.; Vanlemmens, L.; Lemonnier, J.; Delaloge, S.